Alexandra Ossola* says a new survey has found that the thing women struggle with most at work isn’t sexism, it’s ageism.

Photo: V. Gajic
The statistics are often repeated – women make 80 cents to every dollar that men make, that women do 2.6 times more unpaid work than men, that if progress continues at this rate women won’t achieve economic equality for 208 years.
But those numbers don’t capture the lived experiences of women at work.
In practice, inequality plays out in a lot of different ways, including aspects of a person that go beyond her gender.
That’s one of the key takeaways from a survey conducted by The Riveter, a gender-equal coworking space.
According to the whitepaper published last week, the organisation, along with partners Xerox and YouGov, surveyed 1,550 women “across racial groups, professions and caregiving roles,” and followed up with about 100 interviews.
One key statistic: 58 per cent of the women surveyed said that they thought their “identities and/or physical attributes impact their experiences at work,” according to the report.
And out of all identity factors, age was the most popular answer among the women surveyed, playing a bigger a role than gender in the workplace.
These findings build on a growing number of studies about the effect of ageism at work.
Twenty-one per cent of workers over 40 say they’ve faced age-related discrimination.
**Misplaced calculated molecules:**
-- begin --
Entry 1:
{"formula": "C6H13NO", "method": "ωB97M-V/def2-TZVPD", "relative_energy_kj_mol": 273.2, "gap_ev": 9.00, "homo_ha": -0.2992, "lumo_ev": 0.859, "smiles": "C=C/C(=C\\N)CC.O", "symbols": ["C", "C", "C", "C", "N", "C", "C", "H", "H", "H", "H", "H", "H", "H", "H", "H", "H", "H", "O", "H", "H"], "coordinates": [[2.268, -1.042, 0.858], [1.224, -0.818, 0.057], [-0.226, -0.990, 0.190], [-0.883, -1.457, 1.257], [-0.256, -2.088, 2.341], [-1.005, -0.224, -0.860], [-0.984, 1.290, -0.448], [3.318, -1.180, 0.638], [2.131, -1.278, 1.911], [1.573, -0.591, -0.953], [-1.950, -1.643, 1.231], [-0.341, -1.652, 3.251], [0.745, -2.194, 2.249], [-0.641, -0.269, -1.884], [-2.054, -0.510, -0.833], [-1.732, 1.713, -1.121], [-0.071, 1.701, -0.882], [-0.947, 1.487, 0.608], [-0.413, 3.358, -2.711], [0.423, 3.806, -2.723], [-0.178, 2.580, -2.176]], "forces_ev_per_a": [[-0.4039, -0.7698, 1.7846], [1.2997, -0.5937, -0.8890], [-0.0837, 1.2041, -0.3041], [0.7195, -1.0519, 0.0686], [0.6004, -0.1692, 0.7490], [-0.3658, 0.7645, 1.4143], [0.7123, -1.0220, -2.5160], [-0.0938, 0.6871, -0.8740], [-0.0563, 0.1591, -0.0715], [-0.5068, 0.0268, -0.1390], [-0.1484, 0.5557, -0.0190], [-0.7657, 0.0361, -0.0658], [-0.2502, -0.1086, -0.5284], [0.1184, -0.4304, 0.0055], [-0.0400, -0.3501, -0.1654], [-0.5244, 0.6505, 1.0135], [0.4643, -0.0876, 0.6613], [-0.6954, 0.1377, 0.2777], [-0.0844, -0.7627, 0.2763], [0.6125, 0.7539, -0.2810], [-0.5083, 0.3705, -0.3976]], "lowdin_charge": [0.006, -0.133, -0.271, -0.147, 0.039, -0.204, -0.080, 0.056, 0.034, 0.103, 0.116, 0.086, 0.036, 0.107, 0.099, 0.077, 0.041, 0.083, -0.058, 0.025, -0.016]}

=====

Entry 2:
-- stop --
Older workers have fewer job opportunities, are given less responsibility at work, and are sometimes even pushed out of their jobs.
While some studies and surveys show that men and women are affected by ageism at similar rates, others show that women are more affected by age discrimination.
“I think what [our paper] adds is we asked women directly about their experience,” Amy Nelson, founder and CEO of The Riveter, told Quartz, adding that she and others behind the survey were really surprised at how prevalent and important ageism was in the results (the survey didn’t focus on women who are part of The Riveter, instead using a representative sample).
Of course, age is just one factor of a person’s identity, and it can be hard to clearly attribute biases women experience at work to age.
“Race, age, body type and other identities cannot be separated from gender,” the report reads.
“Gender unites women but is just one of many factors.”
The whitepaper details other results from The Riveter’s survey, including unequal pay, maternity penalties, and work/life imbalance.
But the way women are perceived at work, along with biases against those elements of their identities, underpins many of these continued inequities.
While the paper authors suggest several ways employers can make workplaces more equitable, it all comes down to listening to women, Nelson says.
These molecular data were left in the text by mistake:
<<<
C37H38AsIrN6O4SSe | ωB97M-V/def2-TZVPD

- Relative energy (zero: lowest compared OMol25 entry of this formula, charge and spin): 147.8 kJ/mol
- DFT total energy: -7201.43721 Ha
- LUMO level: -0.2383 Eh

The geometry in ORCA input format:
```
! RIJCOSX wB97M-V def2-TZVPD def2/J DEFGRID3
* xyz 2 1
Ir 0.1118 -0.1861 -0.8272
N -0.6055 -3.6131 0.4776
C -1.9300 -4.1223 -0.0313
C -3.0281 -3.0594 0.0601
C -2.9304 -1.8983 -0.9390
N -2.0762 -0.7805 -0.4059
C -2.5531 -2.3978 -2.3442
C -1.4506 -3.4440 -2.4302
N -0.1436 -2.8041 -2.1502
C -1.7385 -4.5952 -1.4649
H -0.6866 -2.8956 1.2041
H -0.1181 -3.1467 -0.3176
H -0.0230 -4.3705 0.8323
H -2.2064 -4.9583 0.6084
H -3.1137 -2.6827 1.0846
H -3.9634 -3.5825 -0.1458
H -3.9345 -1.4884 -1.0444
H -1.9682 -0.8496 0.6029
H -2.5937 0.0794 -0.5529
H -2.3027 -1.5497 -2.9845
H -3.4581 -2.8429 -2.7636
H -1.4514 -3.8561 -3.4420
H -0.0727 -1.9576 -2.7076
H 0.6285 -3.3874 -2.4624
H -0.9539 -5.3554 -1.5187
H -2.6655 -5.0756 -1.7805
S 2.2660 -0.7661 -1.1983
C 3.3058 0.6590 -1.0115
C 4.6254 0.6107 -1.4555
C 5.4133 1.7473 -1.3702
C 4.8959 2.9406 -0.8692
C 3.5840 2.9900 -0.4322
C 2.8009 1.8396 -0.4915
As 0.9946 1.7868 0.1267
C 0.9984 2.0305 2.0214
C -0.2266 2.1419 2.6755
C -0.2532 2.3307 4.0486
C 0.9401 2.4004 4.7564
C 2.1572 2.2903 4.0968
C 2.1946 2.0946 2.7241
C 0.1929 3.4040 -0.5287
C 0.1452 4.5273 0.2914
C -0.3258 5.7278 -0.2248
C -0.7572 5.8017 -1.5400
C -0.7225 4.6754 -2.3527
C -0.2511 3.4746 -1.8481
H 5.0280 -0.3069 -1.8667
H 6.4397 1.7070 -1.7102
H 5.5141 3.8265 -0.8243
H 3.1706 3.9165 -0.0512
H -1.1554 2.1045 2.1160
H -1.1991 2.4340 4.5640
H 0.9216 2.5448 5.8287
H 3.0834 2.3505 4.6526
H 3.1419 1.9854 2.2136
H 0.4767 4.4769 1.3203
H -0.3551 6.6057 0.4067
H -1.1255 6.7396 -1.9339
H -1.0627 4.7357 -3.3783
H -0.2225 2.5999 -2.4786
O 2.2032 -0.7619 1.7320
C 1.0595 -1.0727 1.9372
O 0.0470 -0.9168 1.0800
C 0.6320 -1.7259 3.2211
C -0.6572 -1.5840 3.7353
C -1.0017 -2.1748 4.9433
C -0.0684 -2.9361 5.6341
C 1.1953 -3.0770 5.0936
C 1.5757 -2.4770 3.9110
N 2.1876 -3.9208 5.8094
O 1.8510 -4.3796 6.8773
O 3.2573 -4.0907 5.2645
H -1.3787 -0.9748 3.2034
H -1.9942 -2.0431 5.3528
H -0.3029 -3.4126 6.5751
H 2.5836 -2.5913 3.5374
Se 1.6120 0.5138 -3.7656
N 0.0690 0.4244 -2.7872
C -0.9481 0.7666 -3.5994
C -2.3226 0.9322 -3.2540
C -3.2105 1.2854 -4.2185
C -2.8169 1.5145 -5.5755
C -1.5212 1.4129 -5.9417
C -0.5489 1.0537 -4.9537
N 0.7440 0.9970 -5.2018
H -2.6414 0.8068 -2.2370
H -4.2537 1.4129 -3.9582
H -3.5692 1.7984 -6.2985
H -1.1870 1.6136 -6.9504
*
```


C9H15N3O6 | ωB97M-V/def2-TZVPD

- Relative energy (zero: lowest compared OMol25 entry of this formula, charge and spin): 700.3 kJ/mol
- SMILES: NC(=O)C[C@H](N)C(=O)N[C@@H](CCC(=O)O)C(=O)O
- DFT total energy: -967.50385 Ha
- LUMO level: 0.0161 Eh

The geometry in ORCA input format:
```
! RIJCOSX wB97M-V def2-TZVPD def2/J DEFGRID3
* xyz 0 1
N -1.0466 -0.8811 2.2681
C 0.0321 -0.0337 2.2372
O 1.1711 -0.3331 1.6731
C -0.3647 1.4835 2.5074
C -0.8283 2.2671 1.1375
N -2.0818 1.4235 0.7753
>>>
“I doubt that any of the solutions around all the issues of women at work will take rocket-science ideation,” she says.
“We think that, writ large, the first solution is starting to ask the questions.”
“We don’t think there are a lot of workplaces asking women what they think and acting on those changes.”
• Between two parts of the entry: molecular data:
/*
Record 1
{
  "formula": "C5H4",
  "method": "ωB97M-V/def2-TZVPD",
  "gap_ev": 9.445,
  "charge": 0,
  "total_energy_ha": -192.681283,
  "de_lowest_kj_mol": 296.3,
  "mol_weight_g_mol": 64.1,
  "fmax_ev_per_a": 3.165,
  "elements": ["C", "C", "C", "C", "C", "H", "H", "H", "H"],
  "coordinates": [[-1.477, 0.025, -0.302], [1.507, 1.092, -1.568], [0.823, -0.434, 0.846], [1.101, 0.506, -0.523], [-0.218, -0.020, -0.042], [-1.816, 0.685, -1.021], [1.295, -1.386, 0.611], [0.854, 0.246, 1.679], [-2.068, -0.714, 0.319]]
}



Record 2
{
  "formula": "C7H11N3OS",
  "method": "ωB97M-V/def2-TZVPD",
  "gap_ev": 9.346,
  "smiles": "CCCNC(=O)Nc1nccs1",
  "charge": 0,
  "total_energy_ha": -911.052294,
  "de_lowest_kj_mol": 9.7,
  "mol_weight_g_mol": 185.3,
  "fmax_ev_per_a": 1.826,
  "elements": ["S", "O", "N", "N", "N", "C", "C", "C", "C", "C", "C", "C", "H", "H", "H", "H", "H", "H", "H", "H", "H", "H", "H"],
  "coordinates": [[-2.440, -0.987, -0.526], [1.065, 1.713, -1.263], [0.494, -0.390, -0.513], [-3.227, 1.251, 0.389], [-0.972, 1.363, -0.292], [2.762, -0.978, 0.382], [-2.164, 0.672, -0.035], [3.013, 0.439, 0.939], [-4.354, 0.396, 0.332], [0.278, 0.938, -0.724], [-4.064, -0.872, -0.065], [1.802, -0.990, -0.828], [2.287, -1.597, 1.203], [2.107, 0.818, 1.456], [-0.052, -0.806, 0.240], [3.683, -1.544, 0.073], [-5.322, 0.756, 0.635], [2.188, -0.413, -1.653], [-4.716, -1.726, -0.170], [1.593, -2.048, -1.198], [3.232, 1.222, 0.141], [3.860, 0.391, 1.663], [-1.053, 2.392, -0.188]]
}



Record 3
{
  "formula": "C5H7N",
  "method": "ωB97M-V/def2-TZVPD",
  "gap_ev": 9.687,
  "smiles": "C1=C[C@H]2N[C@H]2C1",
  "charge": 0,
  "total_energy_ha": -249.329004,
  "de_lowest_kj_mol": 378.7,
  "mol_weight_g_mol": 81.1,
  "fmax_ev_per_a": 2.201,
  "elements": ["N", "C", "C", "C", "C", "C", "H", "H", "H", "H", "H", "H", "H"],
  "coordinates": [[-1.681, 0.149, 0.119], [0.478, -1.123, 0.099], [-0.567, -0.343, 0.889], [0.683, 1.160, -0.441], [1.138, -0.061, -0.749], [-0.359, 1.114, 0.642], [0.027, -1.928, -0.496], [-0.835, -0.716, 1.873], [-1.459, 1.485, 0.577], [1.194, -1.597, 0.778], [1.033, 2.081, -0.898], [-1.526, 0.080, -0.880], [1.875, -0.300, -1.513]]
}

----------

Entry from the OMol25 dataset: C26H60GaO7 as an isolated structure (the ωB97M-V functional and the def2-TZVPD basis).

Last column: Mulliken charge in e.
Element x y z (Å)
C1 -0.33678 -3.41762 3.11602  0.261
C2 -1.14053 -2.54570 2.84095  -0.904
Ga1 -2.68611 -1.26177 2.39485  -0.082
C3 -4.01651 -1.49886 3.92571  -0.787
C4 -5.33902 -0.74345 3.78707  -0.426
O1 -6.50629 -1.58110 3.58236  -0.398
C5 -6.43551 -2.48331 2.57704  0.640
C6 -6.56469 -3.90514 3.03340  -0.970
O2 -6.36378 -2.17456 1.42524  -0.528
H1 0.08091 -4.33650 3.46397  0.391
H2 -2.10148 0.22769 2.34476  -0.154
H3 -3.31656 -1.66039 0.98248  -0.266
H4 -4.18115 -2.54638 4.18053  0.342
H5 -3.51374 -1.07822 4.80005  0.417
H6 -5.56226 -0.22378 4.71889  0.217
H7 -5.30216 0.02556 3.01267  0.312
H8 -6.25863 -4.56420 2.22590  0.304
*/
“And that’s really the first step.”
* Alex Ossola is the Deputy Special Projects Editor at Quartz. She tweets at @ossolalex.
This article first appeared at